• To do:
Next, retype every line below that contains the word "The".

• Source:
********
Entry w
Below is a molecular structure, C2H8OS, with properties calculated with ωB97M-V/def2-TZVPD.

Geometry as XYZ:
```
12
Properties=species:S:1:pos:R:3:lowdin_charge:R:1
C -2.635 -0.576 0.120 -0.063
C -2.710 -2.038 0.047 -0.165
S 2.906 1.496 0.418 0.143
H -2.819 -0.273 1.198 0.110
H -3.511 -0.247 -0.451 0.088
H -1.998 -2.561 0.668 0.079
H -3.770 -2.329 0.256 0.114
H -2.454 -2.184 -1.029 0.101
H 4.049 1.873 -0.224 -0.334
H 0.270 0.387 -0.631 0.012
H -1.315 -0.350 -0.418 -0.030
O -0.361 -0.321 -0.882 -0.056
```

The value obtained for the molar mass is 80.15 g mol⁻¹. Its total charge is 0. Its HOMO-LUMO gap is 2.989 eV. Its LUMO energy is -4.654 eV.

---

Entry x
Below is 2 unconnected molecules or ions with the total composition C2H8OS, with properties calculated with ωB97M-V/def2-TZVPD.

Geometry as XYZ:
```
12
Properties=species:S:1:pos:R:3:lowdin_charge:R:1
C -0.416 -1.627 0.210 -0.393
S -1.721 -2.474 1.235 0.707
C -2.056 -1.125 2.436 -0.435
H 0.426 -2.299 0.216 0.012
H -0.318 -0.603 0.544 0.021
H -0.766 -1.538 -0.821 0.020
H -1.305 -0.342 2.492 0.028
H -3.011 -0.651 2.233 0.019
H -2.148 -1.575 3.426 0.020
H 4.424 3.721 -4.042 0.022
H 3.115 4.143 -3.628 0.037
O 3.774 4.371 -4.301 -0.059
```

The value obtained for the molar mass is 80.15 g mol⁻¹. Its SMILES is CSC.O. Its total charge is 0. Its HOMO-LUMO gap is 9.483 eV. Its LUMO energy is 0.950 eV.

---

It is entry x that is the most stable of them.

---

Entry w
Below is 3 unconnected molecules or ions with the total composition C2H8OS, with properties calculated with ωB97M-V/def2-TZVPD.

Geometry as XYZ:
```
12
Properties=species:S:1:pos:R:3:lowdin_charge:R:1
C 0.302 -0.792 0.954 0.039
C 1.596 -0.091 1.095 -0.119
S -3.715 1.047 -2.304 0.132
H -0.441 -0.652 1.737 0.088
H 0.396 -1.871 0.876 0.087
H 1.688 0.543 1.939 0.075
H 2.418 -0.794 0.959 0.093
H 1.757 0.625 0.275 0.103
H -2.551 1.695 -2.137 -0.386
H -1.132 0.335 -1.573 -0.021
H -0.106 -0.178 -0.446 -0.059
O -0.210 0.132 -1.374 -0.033
```

The value obtained for the molar mass is 80.15 g mol⁻¹. Its total charge is 0. Its HOMO-LUMO gap is 3.069 eV. Its LUMO energy is -4.432 eV.

---

Entry x
Below is 2 unconnected molecules or ions with the total composition C2H8OS, with properties calculated with ωB97M-V/def2-TZVPD.

Geometry as XYZ:
```
12
Properties=species:S:1:pos:R:3:lowdin_charge:R:1
C 1.644 -0.964 0.104 -0.164
C 1.677 0.584 -0.042 -0.598
S 3.231 1.299 0.601 0.666
H 1.618 -1.416 -0.889 0.066
H 2.578 -1.273 0.547 0.033
H 0.786 -1.331 0.659 0.067
H 0.873 1.061 0.490 0.044
H 1.615 0.808 -1.093 0.049
H 3.377 0.426 1.595 -0.162
H -5.419 -0.422 -0.769 0.031
H -5.831 1.066 -0.664 0.036
O -6.150 0.161 -0.537 -0.066
```

The value obtained for the molar mass is 80.15 g mol⁻¹. Its SMILES is CCS.O. Its total charge is 0. Its HOMO-LUMO gap is 9.895 eV. Its LUMO energy is 0.817 eV.

---

It is entry x that is the most stable of them.

---

Entry w
Below is 3 unconnected molecules or ions with the total composition C2H11N2O2, with properties calculated with ωB97M-V/def2-TZVPD.

Geometry as XYZ:
```
17
Properties=species:S:1:pos:R:3:lowdin_charge:R:1
C -0.386 -0.531 2.018 -0.054
N -0.190 1.004 -1.236 0.188
C -0.743 0.584 -0.137 -0.128
N -0.018 0.405 0.955 0.011
H 0.383 -1.221 2.369 0.097
H -1.284 -1.111 1.781 0.085
H -0.754 0.038 2.969 0.129
H 0.661 1.526 -1.234 0.130
H -0.681 1.040 -2.137 0.156
H -1.798 0.140 -0.202 0.166
H 0.989 0.628 1.059 0.180
H -4.231 -1.387 -1.297 -0.025
H -2.969 -2.070 -0.900 0.017
O -3.412 -1.281 -1.017 0.047
H 5.365 0.031 -0.308 0.040
H 4.373 0.762 -1.008 -0.017
O 4.433 0.212 -0.284 -0.022
```

The value obtained for the molar mass is 95.12 g mol⁻¹. Its total charge is +1. Its HOMO-LUMO gap is 11.052 eV. Its LUMO energy is -3.523 eV.

---

Entry x
Below is 3 unconnected molecules or ions with the total composition C2H11N2O2, with properties calculated with ωB97M-V/def2-TZVPD.

Geometry as XYZ:
```
17
Properties=species:S:1:pos:R:3:lowdin_charge:R:1
C -0.600 1.467 0.992 -0.008
********

• Written answer:
The value obtained for the molar mass is 80.15 g mol⁻¹. Its total charge is 0. Its HOMO-LUMO gap is 2.989 eV. Its LUMO energy is -4.654 eV.
The value obtained for the molar mass is 80.15 g mol⁻¹. Its SMILES is CSC.O. Its total charge is 0. Its HOMO-LUMO gap is 9.483 eV. Its LUMO energy is 0.950 eV.
The value obtained for the molar mass is 80.15 g mol⁻¹. Its total charge is 0. Its HOMO-LUMO gap is 3.069 eV. Its LUMO energy is -4.432 eV.
The value obtained for the molar mass is 80.15 g mol⁻¹. Its SMILES is CCS.O. Its total charge is 0. Its HOMO-LUMO gap is 9.895 eV. Its LUMO energy is 0.817 eV.
The value obtained for the molar mass is 95.12 g mol⁻¹. Its total charge is +1. Its HOMO-LUMO gap is 11.052 eV. Its LUMO energy is -3.523 eV.